Job =
Next, duplicate the notes further below from the first line to the one with "-1.111 -3.369" with every line break kept.

Source =
'''
1.
Here is a 5-piece molecular cluster, C30H74F3N7O2P overall at a distorted geometry from the OMol25 dataset. Energies are from ωB97M-V/def2-TZVPD.

```
! RIJCOSX wB97M-V def2-TZVPD def2/J DEFGRID3
* xyz 1 1
P -1.184 4.611 0.643
F -2.284 4.031 5.548
F -1.640 5.717 4.351
F -1.000 3.721 3.840
O -1.665 3.065 0.888
O -4.289 2.018 -0.763
N 8.475 -3.173 2.878
N -2.424 5.418 1.641
N 1.273 -0.247 1.476
N -4.684 4.618 1.815
N -3.204 4.254 3.539
N -3.425 5.979 -5.501
N -0.297 -6.056 -0.397
C 0.482 -0.060 2.680
C 0.166 -1.291 3.539
C -2.231 -4.800 -1.514
C -3.446 5.498 -4.139
C -0.673 -0.865 0.090
C 1.308 -4.427 -1.330
C -1.829 4.862 -1.039
C 9.911 -3.242 3.083
C -0.693 -7.450 -0.294
C 7.371 -4.217 4.940
C -4.740 4.852 -3.617
C -2.000 4.436 4.329
C -4.165 7.204 -5.761
C 10.494 -4.516 3.706
C 0.740 -1.210 0.526
C -1.435 -8.081 -1.477
C -5.050 3.923 0.563
C 2.711 -0.361 1.666
C -1.362 -5.077 -0.280
C 7.665 -2.989 4.069
C 7.976 -4.152 1.930
C -3.230 5.385 -7.900
C -3.584 4.928 -6.493
C -5.685 7.104 -5.935
C 0.672 -5.803 -1.448
C 3.259 -1.661 2.263
C 6.554 -3.859 1.477
C -4.723 2.419 0.527
C -3.423 4.732 2.310
C -5.957 1.588 0.874
H 0.759 -2.242 0.909
H -0.915 -4.128 0.036
H 4.344 -1.681 2.154
H -1.627 -4.639 -2.408
H -3.945 6.109 -8.289
H 8.019 -5.183 2.315
H 3.042 0.483 2.277
H 6.709 -2.555 3.764
H -2.930 -5.609 -1.719
H 8.143 -2.218 4.679
H 10.383 -3.092 2.107
H 10.265 -4.596 4.768
H -6.135 4.036 0.490
H -6.646 1.590 0.031
H -3.937 2.172 1.251
H -3.232 4.530 -8.576
H 0.248 -5.912 -2.459
H 2.864 -2.543 1.756
H -3.936 7.909 -4.958
H -5.658 0.563 1.101
H 1.713 -4.277 -0.328
H -0.612 -1.044 4.264
H 2.124 -4.326 -2.047
H 8.633 -4.124 1.057
H -0.928 -7.893 -2.424
H -3.171 6.327 -3.479
H -4.599 4.502 -6.503
H 0.986 0.690 3.296
H 11.581 -4.504 3.610
H 10.208 -2.381 3.687
H 5.831 -3.998 2.283
H -3.941 3.741 4.007
H 1.454 -6.561 -1.360
H 7.030 -5.066 4.345
H -2.638 4.763 -4.044
H -4.014 2.771 -1.294
H 1.383 -1.200 -0.357
H -2.821 -3.896 -1.350
H 3.176 -0.212 0.686
H -2.001 -5.379 0.553
H 6.273 -4.535 0.668
H 6.578 -3.978 5.652
H 0.218 -8.030 -0.112
H -0.861 2.533 1.005
H -2.237 5.834 -7.920
H -5.344 4.411 2.557
H 0.590 -3.631 -1.535
H -4.545 4.355 -2.660
H -1.002 -1.517 -0.721
H 8.238 -4.534 5.517
H -0.202 -2.123 2.937
H 3.042 -1.747 3.327
H -5.123 4.096 -4.301
H -3.749 7.661 -6.662
H -5.964 6.307 -6.625
H -2.460 -7.721 -1.558
H -2.911 4.113 -6.212
H -0.703 0.167 -0.268
H 10.132 -5.416 3.208
H -1.393 -0.974 0.903
H -5.524 5.588 -3.443
H -1.346 5.718 -1.504
H -2.909 4.978 -1.030
H -6.454 1.993 1.761
H 6.470 -2.835 1.110
H -1.996 6.123 2.228
H -4.657 4.465 -0.294
H -6.066 8.039 -6.349
H -1.297 -7.564 0.610
H -1.483 -9.163 -1.341
H -0.473 0.397 2.393
H 1.033 -1.635 4.100
H -6.203 6.936 -4.992
H -1.615 3.936 -1.581
*
```

Values from the calculation:
energy: -2361.90602 a.u.
largest force on an atom: 1.408 eV Å⁻¹
Kohn-Sham gap: 5.03 eV

***

2.
Here is C19H29N3O3 in the gas phase from the OMol25 dataset. Energies are from ωB97M-V/def2-TZVPD.

```
! RIJCOSX wB97M-V def2-TZVPD def2/J DEFGRID3
* xyz 0 1
O 2.631 2.743 3.319
O -2.088 1.607 -0.256
O -3.827 -0.151 -2.966
N 0.684 1.848 4.032
N -1.246 -1.054 -2.421
N 3.128 0.217 0.694
C 1.682 -0.232 2.347
C 1.537 1.269 -0.929
C 0.963 0.366 1.269
C 0.578 3.789 2.624
C 1.419 2.750 3.335
C -0.347 -2.201 -2.560
C 1.274 0.667 4.615
C 0.767 -1.755 -3.513
C -2.726 1.408 -1.498
C 2.988 -0.288 1.955
C -0.755 1.277 -0.129
C 0.279 -2.636 -1.225
C 1.129 -0.560 3.693
C -1.111 -3.369 -3.191
C -2.280 -1.127 -1.403
C 1.911 0.647 0.254
C 0.206 1.587 -1.106
C -0.379 0.676 1.060
C -3.309 -0.018 -1.666
H 0.752 -1.788 -0.733
H 3.838 -0.661 2.493
H 1.032 -3.401 -1.398
H 2.333 0.892 4.757
H -0.475 -3.045 -0.557
H 1.430 -2.585 -3.740
H -2.798 -2.083 -1.501
H 0.075 -0.831 3.607
H 1.227 4.547 2.197
H -1.901 -1.043 -0.374
H 2.265 1.511 -1.688
H -0.118 4.255 3.318
H 1.353 -0.957 -3.062
H -2.067 1.618 -2.345
H -0.314 1.837 3.889
H -4.149 -0.136 -0.972
H -0.421 -4.171 -3.443
H -3.080 -0.423 -3.520
H 1.668 -1.398 4.138
'''

Result =
1.
Here is a 5-piece molecular cluster, C30H74F3N7O2P overall at a distorted geometry from the OMol25 dataset. Energies are from ωB97M-V/def2-TZVPD.

```
! RIJCOSX wB97M-V def2-TZVPD def2/J DEFGRID3
* xyz 1 1
P -1.184 4.611 0.643
F -2.284 4.031 5.548
F -1.640 5.717 4.351
F -1.000 3.721 3.840
O -1.665 3.065 0.888
O -4.289 2.018 -0.763
N 8.475 -3.173 2.878
N -2.424 5.418 1.641
N 1.273 -0.247 1.476
N -4.684 4.618 1.815
N -3.204 4.254 3.539
N -3.425 5.979 -5.501
N -0.297 -6.056 -0.397
C 0.482 -0.060 2.680
C 0.166 -1.291 3.539
C -2.231 -4.800 -1.514
C -3.446 5.498 -4.139
C -0.673 -0.865 0.090
C 1.308 -4.427 -1.330
C -1.829 4.862 -1.039
C 9.911 -3.242 3.083
C -0.693 -7.450 -0.294
C 7.371 -4.217 4.940
C -4.740 4.852 -3.617
C -2.000 4.436 4.329
C -4.165 7.204 -5.761
C 10.494 -4.516 3.706
C 0.740 -1.210 0.526
C -1.435 -8.081 -1.477
C -5.050 3.923 0.563
C 2.711 -0.361 1.666
C -1.362 -5.077 -0.280
C 7.665 -2.989 4.069
C 7.976 -4.152 1.930
C -3.230 5.385 -7.900
C -3.584 4.928 -6.493
C -5.685 7.104 -5.935
C 0.672 -5.803 -1.448
C 3.259 -1.661 2.263
C 6.554 -3.859 1.477
C -4.723 2.419 0.527
C -3.423 4.732 2.310
C -5.957 1.588 0.874
H 0.759 -2.242 0.909
H -0.915 -4.128 0.036
H 4.344 -1.681 2.154
H -1.627 -4.639 -2.408
H -3.945 6.109 -8.289
H 8.019 -5.183 2.315
H 3.042 0.483 2.277
H 6.709 -2.555 3.764
H -2.930 -5.609 -1.719
H 8.143 -2.218 4.679
H 10.383 -3.092 2.107
H 10.265 -4.596 4.768
H -6.135 4.036 0.490
H -6.646 1.590 0.031
H -3.937 2.172 1.251
H -3.232 4.530 -8.576
H 0.248 -5.912 -2.459
H 2.864 -2.543 1.756
H -3.936 7.909 -4.958
H -5.658 0.563 1.101
H 1.713 -4.277 -0.328
H -0.612 -1.044 4.264
H 2.124 -4.326 -2.047
H 8.633 -4.124 1.057
H -0.928 -7.893 -2.424
H -3.171 6.327 -3.479
H -4.599 4.502 -6.503
H 0.986 0.690 3.296
H 11.581 -4.504 3.610
H 10.208 -2.381 3.687
H 5.831 -3.998 2.283
H -3.941 3.741 4.007
H 1.454 -6.561 -1.360
H 7.030 -5.066 4.345
H -2.638 4.763 -4.044
H -4.014 2.771 -1.294
H 1.383 -1.200 -0.357
H -2.821 -3.896 -1.350
H 3.176 -0.212 0.686
H -2.001 -5.379 0.553
H 6.273 -4.535 0.668
H 6.578 -3.978 5.652
H 0.218 -8.030 -0.112
H -0.861 2.533 1.005
H -2.237 5.834 -7.920
H -5.344 4.411 2.557
H 0.590 -3.631 -1.535
H -4.545 4.355 -2.660
H -1.002 -1.517 -0.721
H 8.238 -4.534 5.517
H -0.202 -2.123 2.937
H 3.042 -1.747 3.327
H -5.123 4.096 -4.301
H -3.749 7.661 -6.662
H -5.964 6.307 -6.625
H -2.460 -7.721 -1.558
H -2.911 4.113 -6.212
H -0.703 0.167 -0.268
H 10.132 -5.416 3.208
H -1.393 -0.974 0.903
H -5.524 5.588 -3.443
H -1.346 5.718 -1.504
H -2.909 4.978 -1.030
H -6.454 1.993 1.761
H 6.470 -2.835 1.110
H -1.996 6.123 2.228
H -4.657 4.465 -0.294
H -6.066 8.039 -6.349
H -1.297 -7.564 0.610
H -1.483 -9.163 -1.341
H -0.473 0.397 2.393
H 1.033 -1.635 4.100
H -6.203 6.936 -4.992
H -1.615 3.936 -1.581
*
```

Values from the calculation:
energy: -2361.90602 a.u.
largest force on an atom: 1.408 eV Å⁻¹
Kohn-Sham gap: 5.03 eV

***

2.
Here is C19H29N3O3 in the gas phase from the OMol25 dataset. Energies are from ωB97M-V/def2-TZVPD.

```
! RIJCOSX wB97M-V def2-TZVPD def2/J DEFGRID3
* xyz 0 1
O 2.631 2.743 3.319
O -2.088 1.607 -0.256
O -3.827 -0.151 -2.966
N 0.684 1.848 4.032
N -1.246 -1.054 -2.421
N 3.128 0.217 0.694
C 1.682 -0.232 2.347
C 1.537 1.269 -0.929
C 0.963 0.366 1.269
C 0.578 3.789 2.624
C 1.419 2.750 3.335
C -0.347 -2.201 -2.560
C 1.274 0.667 4.615
C 0.767 -1.755 -3.513
C -2.726 1.408 -1.498
C 2.988 -0.288 1.955
C -0.755 1.277 -0.129
C 0.279 -2.636 -1.225
C 1.129 -0.560 3.693
C -1.111 -3.369 -3.191